-- Assignment --
What is needed: start at the top of the notes below and set down each line, ending with the one that has "-0.0183".

-- Entries --
+++
No. 1
Molecular formula: C32H28F5NO4
Method: DFT, ωB97M-V/def2-TZVPD

Values from the calculation:
- E_HOMO (eV) = -9.15
- Kohn-Sham gap (eV) = 8.61
- molar mass (g/mol) = 585.57
- SMILES = Fc1ccccc1.Fc1ccccc1.Fc1ccccc1.Fc1ccccc1.Fc1ccccc1.O=COCON=O

The geometry in XYZ format:
```
70
Properties=species:S:1:pos:R:3:forces:R:3:lowdin_charge:R:1
F -0.109 -5.070 -0.390 -0.34 0.11 0.20 0.0580
C 1.002 -5.409 -1.057 1.13 -0.37 -0.71 -0.2781
C 1.402 -6.740 -1.090 -0.09 -0.01 0.06 -0.0192
C 2.556 -7.094 -1.788 -0.03 0.46 -0.06 -0.0836
C 3.305 -6.110 -2.438 -0.11 -0.06 0.10 -0.0876
C 2.899 -4.775 -2.394 0.08 -0.45 0.22 -0.0678
C 1.739 -4.423 -1.705 -0.08 -0.04 0.04 -0.0093
H 0.812 -7.490 -0.573 0.02 0.10 -0.05 0.1149
H 2.872 -8.134 -1.827 -0.09 0.18 0.04 0.1040
H 4.208 -6.385 -2.978 -0.17 0.06 0.11 0.1016
H 3.486 -4.010 -2.897 -0.22 -0.48 0.37 0.0911
H 1.403 -3.392 -1.669 0.16 -0.39 0.15 0.0663
F 2.981 -2.559 -4.059 0.24 0.31 -0.20 0.0416
C 1.914 -1.916 -4.553 -1.10 0.69 -0.54 -0.2686
C 0.805 -1.707 -3.741 0.08 -0.04 0.06 -0.0031
C -0.303 -1.033 -4.254 0.34 -0.01 -0.36 -0.0628
C -0.294 -0.585 -5.577 0.19 0.16 0.12 -0.1153
C 0.822 -0.805 -6.386 -0.07 -0.09 0.40 -0.0645
C 1.934 -1.469 -5.870 0.08 -0.08 0.03 -0.0109
H 0.813 -2.069 -2.719 -0.06 0.25 -0.27 0.0761
H -1.173 -0.857 -3.625 0.16 -0.07 -0.06 0.1155
H -1.161 -0.064 -5.978 0.47 0.05 0.14 0.0798
H 0.825 -0.459 -7.417 0.03 -0.06 0.20 0.1105
H 2.814 -1.640 -6.481 -0.07 -0.02 0.08 0.1162
F 2.859 2.577 2.533 0.16 -0.04 -0.40 0.0514
C 2.306 2.571 3.753 -0.52 -0.02 1.23 -0.2967
C 1.233 3.414 4.023 0.00 -0.03 -0.06 -0.0126
C 0.654 3.404 5.292 0.33 -0.34 -0.09 -0.0812
C 1.163 2.559 6.281 0.01 -0.06 -0.05 -0.0949
C 2.243 1.721 6.003 -0.27 0.30 -0.24 -0.0721
C 2.815 1.723 4.730 0.08 0.04 -0.12 -0.0340
H 0.857 4.069 3.244 0.05 -0.08 0.04 0.1149
H -0.190 4.053 5.510 0.23 -0.15 -0.12 0.0921
H 0.714 2.555 7.272 0.12 -0.01 -0.25 0.0960
H 2.640 1.068 6.776 -0.06 0.09 -0.19 0.1075
H 3.650 1.072 4.494 -0.07 0.09 0.01 0.1066
F -2.764 0.476 -7.612 0.21 0.30 -0.08 0.0581
C -3.602 -0.552 -7.420 -0.86 -1.02 0.17 -0.2808
C -3.233 -1.584 -6.564 0.00 -0.03 0.04 -0.0122
C -4.107 -2.652 -6.360 -0.27 0.29 -0.35 -0.0711
C -5.337 -2.680 -7.022 0.06 0.00 0.03 -0.0977
C -5.696 -1.642 -7.883 0.35 -0.07 0.25 -0.0849
C -4.826 -0.569 -8.078 0.06 0.08 -0.03 -0.0183
H -2.270 -1.549 -6.065 -0.41 -0.20 -0.17 0.0719
H -3.832 -3.460 -5.687 0.00 0.17 -0.12 0.1075
H -6.017 -3.515 -6.866 0.13 0.17 -0.04 0.1006
H -6.652 -1.668 -8.400 0.19 0.05 0.09 0.1044
H -5.093 0.251 -8.737 0.07 -0.06 0.06 0.1149
F 0.069 4.809 7.713 0.04 -0.05 0.19 0.0472
C -0.582 5.969 7.875 -0.56 1.03 0.18 -0.2825
C -1.900 6.080 7.444 0.04 -0.07 -0.02 -0.0193
C -2.579 7.286 7.618 0.44 0.10 0.17 -0.0822
C -1.930 8.371 8.212 -0.03 -0.07 -0.03 -0.0978
C -0.606 8.251 8.636 -0.27 -0.28 -0.18 -0.0826
C 0.070 7.042 8.473 0.05 -0.06 -0.02 -0.0140
H -2.385 5.229 6.978 0.06 0.05 0.07 0.1150
H -3.612 7.381 7.291 0.20 -0.05 0.04 0.1053
H -2.459 9.312 8.343 0.11 -0.19 -0.02 0.1010
H -0.101 9.098 9.095 -0.07 -0.19 -0.07 0.1054
H 1.096 6.928 8.805 -0.10 -0.03 -0.06 0.1167
O -1.354 -1.961 0.780 8.61 -2.34 -1.03 -0.0127
C -0.071 -2.346 0.700 -6.74 2.07 0.87 -0.1468
O 0.872 -1.693 -0.224 -0.40 -0.12 3.17 -0.1280
C 1.590 -0.615 0.517 -1.49 1.58 -0.75 -0.1110
O 1.563 -0.983 1.941 0.36 1.02 -3.01 -0.1226
N 2.796 -0.946 2.497 -1.75 -2.74 5.08 0.0161
O 2.612 -1.448 3.621 2.11 2.05 -3.55 0.0093
H 0.267 -3.199 1.443 -0.16 1.77 -2.00 0.1782
H 0.928 0.360 0.406 1.34 -2.05 0.34 0.1658
H 2.650 -0.373 0.085 -1.96 -1.11 0.98 0.1658
```
Positions in Å, forces in eV/Å.

---

No. 2
Molecular formula: C32H28INO8PPtS2
Method: DFT, ωB97M-V/def2-TZVPD

Values from the calculation:
- E_HOMO (eV) = -5.21
- total charge = -1
- Kohn-Sham gap (eV) = 7.44
- molar mass (g/mol) = 971.66
- energy relative to the best compared isomer or geometry (same formula, charge and spin) (kcal per mole) = 3.2

The geometry in XYZ format:
```
74
Properties=species:S:1:pos:R:3:forces:R:3:lowdin_charge:R:1
+++

-- Outcome --
No. 1
Molecular formula: C32H28F5NO4
Method: DFT, ωB97M-V/def2-TZVPD

Values from the calculation:
- E_HOMO (eV) = -9.15
- Kohn-Sham gap (eV) = 8.61
- molar mass (g/mol) = 585.57
- SMILES = Fc1ccccc1.Fc1ccccc1.Fc1ccccc1.Fc1ccccc1.Fc1ccccc1.O=COCON=O

The geometry in XYZ format:
```
70
Properties=species:S:1:pos:R:3:forces:R:3:lowdin_charge:R:1
F -0.109 -5.070 -0.390 -0.34 0.11 0.20 0.0580
C 1.002 -5.409 -1.057 1.13 -0.37 -0.71 -0.2781
C 1.402 -6.740 -1.090 -0.09 -0.01 0.06 -0.0192
C 2.556 -7.094 -1.788 -0.03 0.46 -0.06 -0.0836
C 3.305 -6.110 -2.438 -0.11 -0.06 0.10 -0.0876
C 2.899 -4.775 -2.394 0.08 -0.45 0.22 -0.0678
C 1.739 -4.423 -1.705 -0.08 -0.04 0.04 -0.0093
H 0.812 -7.490 -0.573 0.02 0.10 -0.05 0.1149
H 2.872 -8.134 -1.827 -0.09 0.18 0.04 0.1040
H 4.208 -6.385 -2.978 -0.17 0.06 0.11 0.1016
H 3.486 -4.010 -2.897 -0.22 -0.48 0.37 0.0911
H 1.403 -3.392 -1.669 0.16 -0.39 0.15 0.0663
F 2.981 -2.559 -4.059 0.24 0.31 -0.20 0.0416
C 1.914 -1.916 -4.553 -1.10 0.69 -0.54 -0.2686
C 0.805 -1.707 -3.741 0.08 -0.04 0.06 -0.0031
C -0.303 -1.033 -4.254 0.34 -0.01 -0.36 -0.0628
C -0.294 -0.585 -5.577 0.19 0.16 0.12 -0.1153
C 0.822 -0.805 -6.386 -0.07 -0.09 0.40 -0.0645
C 1.934 -1.469 -5.870 0.08 -0.08 0.03 -0.0109
H 0.813 -2.069 -2.719 -0.06 0.25 -0.27 0.0761
H -1.173 -0.857 -3.625 0.16 -0.07 -0.06 0.1155
H -1.161 -0.064 -5.978 0.47 0.05 0.14 0.0798
H 0.825 -0.459 -7.417 0.03 -0.06 0.20 0.1105
H 2.814 -1.640 -6.481 -0.07 -0.02 0.08 0.1162
F 2.859 2.577 2.533 0.16 -0.04 -0.40 0.0514
C 2.306 2.571 3.753 -0.52 -0.02 1.23 -0.2967
C 1.233 3.414 4.023 0.00 -0.03 -0.06 -0.0126
C 0.654 3.404 5.292 0.33 -0.34 -0.09 -0.0812
C 1.163 2.559 6.281 0.01 -0.06 -0.05 -0.0949
C 2.243 1.721 6.003 -0.27 0.30 -0.24 -0.0721
C 2.815 1.723 4.730 0.08 0.04 -0.12 -0.0340
H 0.857 4.069 3.244 0.05 -0.08 0.04 0.1149
H -0.190 4.053 5.510 0.23 -0.15 -0.12 0.0921
H 0.714 2.555 7.272 0.12 -0.01 -0.25 0.0960
H 2.640 1.068 6.776 -0.06 0.09 -0.19 0.1075
H 3.650 1.072 4.494 -0.07 0.09 0.01 0.1066
F -2.764 0.476 -7.612 0.21 0.30 -0.08 0.0581
C -3.602 -0.552 -7.420 -0.86 -1.02 0.17 -0.2808
C -3.233 -1.584 -6.564 0.00 -0.03 0.04 -0.0122
C -4.107 -2.652 -6.360 -0.27 0.29 -0.35 -0.0711
C -5.337 -2.680 -7.022 0.06 0.00 0.03 -0.0977
C -5.696 -1.642 -7.883 0.35 -0.07 0.25 -0.0849
C -4.826 -0.569 -8.078 0.06 0.08 -0.03 -0.0183